Having an ‘emergency kit’ on a moving day is crucial. When your whole life is packed up in boxes, the last thing you need after an exhausting day is to be digging through everything trying to find what you need. An emergency kit allows you to comfortably settle in on the first day and on the first night before you’ve had a chance to start unpacking. A small suitcase is about the right size for what you’ll need, and you’re best preparing this before packing anything else. That way, nothing that you’re going to need will already be boxed up. Here’s what to put in your emergency moving house kit.
What To Pack In Your ‘Emergency Kit' on Moving Day
This could be anything from personal ID needed to sign a tenancy agreement or contract. To details of your bills and meter readings, which are essential if you need to make any phone calls to your utility companies. Organize everything ahead of time, and put it into a file to keep it safe. That way if you need to grab anything, it’s not lost under a mound of other paperwork in a box that could be anywhere.
Snacks and Drinks
Tea, coffee, and biscuits are essential for catching a couple of minutes break from moving boxes. If you have friends and family helping you too, it’s useful for giving them a bit of a pick me up too! If you don’t have enough help on hand, looking into moving companies could be a good way to go. Either way, you’ll need something to drink and snack on while you get everything sorted.
Enough Cutlery and Crockery For One Meal
You probably won't be able to cook much on the first day or two until the kitchen is unpacked. But even if you order a takeaway, you’ll need something to eat from! A plate or bowl, a cup or glass, and cutlery to eat from for each person is essential.
Tea Towels and Basic Cleaning Supplies
Hopefully, the property will have been thoroughly cleaned before you move in. Better still if you’ve had a chance to go in yourself and clean over everything before your stuff gets brought in. But you’ll still need some basic cleaning supplies to get you through until you can properly unpack. If there are any messes or spills they can be cleaned right up. So things like disinfectant spray, tea towels, bin bags, kitchen rolls, and washing-up liquid will all come in useful.
Bath Towels and Toiletries
**Inserted here: data records:**
<<<
Entry from Alexandria: crystalline CaTaPt4 at its relaxed geometry (GGA-PBEsol).

## Properties
Total energy = -0.2754 Ha/atom
Fermi-level density of states = 5.8 states/eV/cell
ΔH_f (0 K) = -0.404 eV/atom

Unit cell a=5.2545 b=5.2545 c=5.2545 alpha=60.00 beta=60.00 gamma=60.00
Atoms (fractional coordinates):
Ca 0.0000 0.0000 0.0000
Ta 0.7500 0.7500 0.7500
Pt 0.3751 0.3751 0.3751
Pt 0.3751 0.3751 0.8746
Pt 0.3751 0.8746 0.3751
Pt 0.8746 0.3751 0.3751

~~~~~

# 1
## K2SmNpTe4 (PBE-GGA)

Data for K2SmNpTe4 after structural relaxation.

Structure (POSCAR):
```
K2SmNpTe4
1.0
4.571 0.000 0.000
0.000 7.936 0.136
0.000 -2.786 8.170
Sm Te K Np
1 4 2 1
Direct
0.500 0.500 0.000
0.000 0.263 0.788
0.500 0.764 0.790
0.500 0.236 0.210
0.000 0.737 0.212
0.000 0.500 0.500
0.500 0.000 0.500
0.000 0.000 0.000
```

Properties
**V**: 37.26 Å³/atom
**Formation energy (no corrections)**: -1.146 eV/atom



# 2
## FeS (PBE-GGA)

Data for FeS after structural relaxation.

Structure (POSCAR):
```
FeS
1.0
7.890 0.000 0.000
0.000 10.319 0.000
0.000 0.000 6.688
S Fe
16 16
Direct
0.781 0.000 0.500
0.031 0.250 0.250
0.969 0.750 0.250
0.281 0.000 0.000
0.469 0.750 0.750
0.719 0.500 0.500
0.719 0.000 0.000
0.281 0.500 0.500
0.531 0.750 0.250
0.969 0.250 0.750
0.781 0.500 0.000
0.219 0.500 0.000
0.031 0.750 0.750
0.531 0.250 0.750
0.469 0.250 0.250
0.219 0.000 0.500
0.000 0.375 0.000
0.750 0.625 0.250
0.250 0.875 0.750
0.750 0.125 0.750
0.000 0.625 0.000
0.500 0.875 0.000
0.000 0.875 0.500
0.000 0.125 0.500
0.250 0.125 0.250
0.250 0.625 0.750
0.500 0.625 0.500
0.750 0.875 0.250
0.250 0.375 0.250
0.500 0.125 0.000
0.500 0.375 0.500
0.750 0.375 0.750
```

Properties
**V**: 17.02 Å³/atom
**Formation energy (no corrections)**: -0.388 eV/atom



# 3
## KNa2NbF6 (PBE-GGA)

Data for KNa2NbF6 after structural relaxation.

Structure (POSCAR):
```
KNa2NbF6
1.0
-4.022 -0.283 5.053
-3.798 5.042 1.395
-6.380 -0.394 -0.965
F K Na Nb
6 1 2 1
Direct
0.227 0.227 0.773
0.773 0.227 0.773
0.773 0.227 0.227
0.227 0.773 0.227
0.227 0.773 0.773
0.773 0.773 0.227
0.500 0.500 0.500
0.250 0.250 0.250
0.750 0.750 0.750
0.000 0.000 0.000
```

Properties
**V**: 19.10 Å³/atom
**Formation energy (no corrections)**: -2.530 eV/atom

~~~~~

No. 1
Material: ErH6Ir2Pb
Method: DFT, PBE-GGA
State: relaxed

It has space group C2/c (No. 15), with a = 8.156 Å, b = 9.709 Å, c = 5.540 Å, α = 90.00°, β = 102.51° and γ = 90.00°. The inequivalent atoms are Er at (0.000, 0.138, 0.250), H at (0.110, 0.357, 0.199), H at (0.176, 0.003, 0.556), H at (0.183, 0.248, 0.592), Ir at (0.187, 0.130, 0.802) and Pb at (0.000, 0.394, 0.750).

No. 2
Material: ErH8Ir2Pd
Method: DFT, PBE-GGA
State: relaxed

It has space group C2/m (No. 12), with a = 9.160 Å, b = 3.995 Å, c = 6.123 Å, α = 90.00°, β = 111.45° and γ = 90.00°. The inequivalent atoms are Er at (0.000, 0.000, 0.000), H at (0.136, 0.252, 0.751), H at (0.137, 0.500, 0.042), H at (0.193, 0.000, 0.362), Ir at (0.246, 0.500, 0.323) and Pd at (0.000, 0.500, 0.500).

No. 3
>>>
After a long day, you’ll be desperate for a shower or a relaxing bath. So keep some items on hand to be able to do so. A bath towel and a couple of basic toiletries. Don’t forget toilet paper and your toothbrushes too! Another important thing to remember is any medication or personal items that you need to get through until everything is unpacked.
Phone Charger
Until you have your internet connected at the new property, you’ll probably be using your phone a lot. So making sure you have the charger somewhere easy to find is crucial. You might also want to buy an additional data bolt-on for it too, that way you can use the internet when needed and could even tether it to your computer or laptop so you can use them.